== Entries ==
/*
Here is an isolated molecule of C6H11ClOS2 at a distorted geometry from the OMol25 dataset. Energies are from the ωB97M-V functional and the def2-TZVPD basis.

- Relative energy (zero: lowest compared OMol25 entry of this formula, charge and spin): 10.2 kJ/mol
- Calculated total energy: -42638.95324 eV
- Kohn-Sham gap: 9.86 eV
- Lowest unoccupied orbital energy: 0.524 eV
- HOMO level: -9.34 eV

Structure (ORCA input):
```
! wB97M-V def2-TZVPD RIJCOSX def2/J DEFGRID3
* xyz 0 1
C 0.250 -1.998 2.731
C 1.203 1.686 -1.000
C 0.357 0.478 -0.969
C -0.054 0.071 0.446
C -0.975 -1.255 0.486
C -1.312 -1.668 1.848
O 0.432 -1.677 3.855
S -2.035 -3.330 2.029
S -2.157 -0.377 2.668
Cl 1.422 -2.882 1.751
H 1.179 2.043 -2.026
H 2.081 1.406 -0.586
H 0.936 2.568 -0.468
H 0.784 -0.390 -1.341
H -0.599 0.650 -1.359
H 0.839 -0.248 0.987
H -0.622 0.796 0.917
H -1.710 -1.025 -0.343
H -0.359 -1.965 -0.013
H -2.150 -3.815 0.771
H -2.334 -0.917 3.975
*
```



Here is a structure of composition C6H11F2NO2 at a distorted geometry from the OMol25 dataset. Energies are from the ωB97M-V functional and the def2-TZVPD basis.

- Relative energy (zero: lowest compared OMol25 entry of this formula, charge and spin): 667.1 kJ/mol
- Calculated total energy: -17413.62015 eV
- Kohn-Sham gap: 9.49 eV
- Lowest unoccupied orbital energy: 0.486 eV
- HOMO level: -9.01 eV

Structure (ORCA input):
```
! wB97M-V def2-TZVPD RIJCOSX def2/J DEFGRID3
* xyz 0 1
C 0.630 2.654 -0.600
C 0.116 1.108 -0.724
C 1.170 -0.993 0.334
C -0.031 -1.759 -0.383
C -1.113 -0.964 0.129
C -1.031 0.570 0.167
H -0.466 3.274 0.056
H 0.935 2.804 -1.900
H 1.805 2.605 0.304
H -0.355 0.887 -1.626
H 1.846 0.153 -1.375
H 0.879 -0.951 1.368
H 2.219 -1.459 0.185
H 0.081 -1.828 -1.468
H -0.322 -2.953 1.204
H -2.021 -1.190 -0.357
H -1.303 -0.279 2.120
N 1.400 0.302 -0.375
O -0.193 -3.067 0.039
O -1.260 -1.243 1.629
F -2.156 1.341 -0.228
F -0.830 0.988 1.501
*
```



Here is a cluster of 2 separate species, C6H11F7O3SSi in total from the OMol25 dataset. Energies are from the ωB97M-V functional and the def2-TZVPD basis.

- Calculated total energy: -50277.46394 eV
- Kohn-Sham gap: 11.65 eV
- Lowest unoccupied orbital energy: 0.595 eV
- HOMO level: -11.05 eV

Structure (ORCA input):
```
! wB97M-V def2-TZVPD RIJCOSX def2/J DEFGRID3
* xyz 0 1
F -4.894 1.172 1.248
C -4.450 1.956 0.272
F -5.471 2.654 -0.200
F -3.556 2.802 0.795
C -3.807 1.085 -0.847
F -4.820 0.525 -1.539
F -3.092 0.087 -0.254
C -2.861 1.852 -1.807
F -3.482 3.031 -2.144
F -2.798 1.087 -2.953
Si -1.038 2.147 -1.221
H -0.400 0.858 -0.926
H -1.089 3.030 -0.045
H -0.347 2.841 -2.319
O 1.898 0.116 0.458
S 1.893 -1.104 1.209
O 2.365 -1.100 2.559
O 2.661 -2.216 0.375
C 3.967 -1.875 -0.148
C 5.047 -1.912 0.912
C 0.295 -1.836 1.152
H 3.907 -0.900 -0.633
H 4.149 -2.624 -0.916
H 4.909 -1.126 1.653
H 6.020 -1.775 0.440
H 5.041 -2.870 1.431
H -0.044 -1.863 0.120
H -0.358 -1.208 1.755
H 0.355 -2.835 1.575
*
```



Here is an isolated molecule of C6H11FN2 at a distorted geometry from the OMol25 dataset. Energies are from the ωB97M-V functional and the def2-TZVPD basis.

- Calculated total energy: -12091.04246 eV
- Kohn-Sham gap (alpha / beta): 6.99 / 7.29 eV
- Lowest unoccupied orbital energy (alpha / beta): 1.004 / -1.590 eV
- ⟨S²⟩: 2.0281
- HOMO level (alpha / beta): -5.99 / -8.88 eV

Structure (ORCA input):
```
! wB97M-V def2-TZVPD RIJCOSX def2/J DEFGRID3
* xyz 0 3
C -0.666 0.580 -0.878
C -1.889 -0.161 -0.424
C 0.287 0.266 0.991
C -2.364 -1.422 -1.258
C 2.716 1.022 0.631
C 1.736 -0.166 0.905
N -1.746 -0.652 0.934
N -0.733 -0.450 1.527
F 0.276 0.028 -1.692
H -0.728 1.656 -1.016
H -2.565 0.719 -0.283
H 0.262 1.291 1.340
H -1.501 -2.063 -1.353
H -2.844 -1.146 -2.289
H -3.052 -1.918 -0.522
H 2.405 1.892 1.302
H 2.741 1.261 -0.492
H 3.621 0.583 0.798
H 2.095 -0.547 1.820
H 1.950 -0.774 -0.043
*
```



Here is the ion C6H11FN3O2 with charge +1 at a distorted geometry from the OMol25 dataset. Energies are from the ωB97M-V functional and the def2-TZVPD basis.
*/

== Request ==
What is needed: return only the last part of the calculation results above, starting with the line that has "9.49 eV".

== Result ==
- Kohn-Sham gap: 9.49 eV
- Lowest unoccupied orbital energy: 0.486 eV
- HOMO level: -9.01 eV

Structure (ORCA input):
```
! wB97M-V def2-TZVPD RIJCOSX def2/J DEFGRID3
* xyz 0 1
C 0.630 2.654 -0.600
C 0.116 1.108 -0.724
C 1.170 -0.993 0.334
C -0.031 -1.759 -0.383
C -1.113 -0.964 0.129
C -1.031 0.570 0.167
H -0.466 3.274 0.056
H 0.935 2.804 -1.900
H 1.805 2.605 0.304
H -0.355 0.887 -1.626
H 1.846 0.153 -1.375
H 0.879 -0.951 1.368
H 2.219 -1.459 0.185
H 0.081 -1.828 -1.468
H -0.322 -2.953 1.204
H -2.021 -1.190 -0.357
H -1.303 -0.279 2.120
N 1.400 0.302 -0.375
O -0.193 -3.067 0.039
O -1.260 -1.243 1.629
F -2.156 1.341 -0.228
F -0.830 0.988 1.501
*
```



Here is a cluster of 2 separate species, C6H11F7O3SSi in total from the OMol25 dataset. Energies are from the ωB97M-V functional and the def2-TZVPD basis.

- Calculated total energy: -50277.46394 eV
- Kohn-Sham gap: 11.65 eV
- Lowest unoccupied orbital energy: 0.595 eV
- HOMO level: -11.05 eV

Structure (ORCA input):
```
! wB97M-V def2-TZVPD RIJCOSX def2/J DEFGRID3
* xyz 0 1
F -4.894 1.172 1.248
C -4.450 1.956 0.272
F -5.471 2.654 -0.200
F -3.556 2.802 0.795
C -3.807 1.085 -0.847
F -4.820 0.525 -1.539
F -3.092 0.087 -0.254
C -2.861 1.852 -1.807
F -3.482 3.031 -2.144
F -2.798 1.087 -2.953
Si -1.038 2.147 -1.221
H -0.400 0.858 -0.926
H -1.089 3.030 -0.045
H -0.347 2.841 -2.319
O 1.898 0.116 0.458
S 1.893 -1.104 1.209
O 2.365 -1.100 2.559
O 2.661 -2.216 0.375
C 3.967 -1.875 -0.148
C 5.047 -1.912 0.912
C 0.295 -1.836 1.152
H 3.907 -0.900 -0.633
H 4.149 -2.624 -0.916
H 4.909 -1.126 1.653
H 6.020 -1.775 0.440
H 5.041 -2.870 1.431
H -0.044 -1.863 0.120
H -0.358 -1.208 1.755
H 0.355 -2.835 1.575
*
```



Here is an isolated molecule of C6H11FN2 at a distorted geometry from the OMol25 dataset. Energies are from the ωB97M-V functional and the def2-TZVPD basis.

- Calculated total energy: -12091.04246 eV
- Kohn-Sham gap (alpha / beta): 6.99 / 7.29 eV
- Lowest unoccupied orbital energy (alpha / beta): 1.004 / -1.590 eV
- ⟨S²⟩: 2.0281
- HOMO level (alpha / beta): -5.99 / -8.88 eV

Structure (ORCA input):
```
! wB97M-V def2-TZVPD RIJCOSX def2/J DEFGRID3
* xyz 0 3
C -0.666 0.580 -0.878
C -1.889 -0.161 -0.424
C 0.287 0.266 0.991
C -2.364 -1.422 -1.258
C 2.716 1.022 0.631
C 1.736 -0.166 0.905
N -1.746 -0.652 0.934
N -0.733 -0.450 1.527
F 0.276 0.028 -1.692
H -0.728 1.656 -1.016
H -2.565 0.719 -0.283
H 0.262 1.291 1.340
H -1.501 -2.063 -1.353
H -2.844 -1.146 -2.289
H -3.052 -1.918 -0.522
H 2.405 1.892 1.302
H 2.741 1.261 -0.492
H 3.621 0.583 0.798
H 2.095 -0.547 1.820
H 1.950 -0.774 -0.043
*
```



Here is the ion C6H11FN3O2 with charge +1 at a distorted geometry from the OMol25 dataset. Energies are from the ωB97M-V functional and the def2-TZVPD basis.